**Data:**
'''
Record 1
ORCA calculation (ωB97M-V with the def2-TZVPD basis set) on a molecular structure, C28H34BrF7N3O4PdS2Sb.

2S+1: 5
Net charge: +2
Lowest unoccupied orbital energy (alpha / beta): -5.5 / -8.0 eV
Highest occupied orbital energy (alpha / beta): -14.28 / -14.47 eV
Energy above the lowest of the compared OMol25 structures with the same formula, charge and spin: 119.84 kJ/mol

Positions of all 81 atoms, in Å:
Pd1 0.262 -0.334 -0.140
C1 1.586 1.019 -3.386
C2 2.928 0.371 -3.037
C3 2.976 -1.094 -3.471
C4 3.321 0.688 -1.603
C5 4.175 1.762 -1.415
C6 4.556 2.185 -0.148
C7 4.077 1.547 0.982
C8 3.226 0.457 0.882
C9 2.753 -0.175 2.181
C10 3.734 -1.258 2.653
C11 1.313 -0.697 2.243
C12 2.892 0.011 -0.422
N1 2.141 -1.176 -0.494
C13 2.636 -2.406 -0.476
C14 4.033 -2.640 -0.693
C15 4.534 -3.910 -0.728
C16 3.677 -5.008 -0.540
C17 2.318 -4.823 -0.301
C18 1.817 -3.551 -0.269
F1 0.521 -3.363 -0.006
H1 1.316 0.782 -4.417
H2 1.622 2.103 -3.285
H3 0.774 0.666 -2.749
H4 3.676 0.894 -3.635
H5 2.127 -1.670 -3.101
H6 3.896 -1.589 -3.158
H7 2.942 -1.141 -4.560
H8 4.551 2.290 -2.283
H9 5.217 3.036 -0.045
H10 4.356 1.909 1.964
H11 2.810 0.635 2.910
H12 3.732 -2.120 1.982
H13 3.452 -1.612 3.645
H14 4.751 -0.873 2.709
H15 1.218 -1.742 1.947
H16 0.599 -0.081 1.662
H17 0.934 -0.614 3.262
H18 4.675 -1.781 -0.833
H19 5.588 -4.075 -0.898
H20 4.078 -6.012 -0.571
H21 1.652 -5.658 -0.131
C19 -5.449 3.145 -0.842
Sb1 -4.613 1.363 -0.131
C20 -4.598 0.155 -1.848
C21 -6.031 0.520 1.172
H22 -6.530 2.997 -0.876
H23 -5.058 3.319 -1.842
H24 -5.206 3.987 -0.203
H25 -4.705 -0.894 -1.577
H26 -3.675 0.309 -2.403
H27 -5.450 0.481 -2.446
H28 -6.238 -0.494 0.835
H29 -6.925 1.140 1.104
H30 -5.675 0.514 2.199
Br1 -1.038 -1.843 -2.521
C22 -1.900 -2.195 -0.886
C23 -2.815 -3.226 -0.785
C24 -3.385 -3.451 0.457
C25 -3.028 -2.643 1.530
C26 -2.108 -1.634 1.329
N2 -1.551 -1.405 0.126
H31 -3.058 -3.831 -1.647
H32 -4.097 -4.256 0.587
H33 -3.448 -2.795 2.514
H34 -1.801 -0.970 2.124
F2 1.130 2.498 1.756
C27 0.504 2.947 0.678
F3 1.189 2.583 -0.410
F4 0.422 4.257 0.699
S1 -1.224 2.145 0.561
O1 -1.230 1.551 -0.781
O2 -1.285 1.137 1.598
N3 -2.263 3.309 0.595
S2 -2.187 4.378 1.859
O3 -1.286 3.912 2.870
O4 -2.152 5.708 1.373
C28 -3.864 4.136 2.610
F5 -4.798 4.790 1.929
F6 -4.193 2.828 2.619
F7 -3.822 4.576 3.849

Record 2
ORCA calculation (ωB97M-V with the def2-TZVPD basis set) on a molecular structure, C28H34BrIN5O8PdS.

Net charge: -1
Lowest unoccupied orbital energy: 1.8 eV
Highest occupied orbital energy: -6.15 eV
Energy above the lowest of the compared OMol25 structures with the same formula, charge and spin: 0.00 kJ/mol

Positions of all 79 atoms, in Å:
Pd1 0.014 0.495 -0.230
I1 -6.701 0.578 -3.922
C1 -5.301 1.062 -2.451
C2 -5.554 2.123 -1.594
C3 -4.628 2.427 -0.606
C4 -3.444 1.707 -0.495
C5 -3.193 0.669 -1.387
C6 -4.132 0.324 -2.352
C7 -2.468 2.068 0.607
O1 -2.920 2.390 1.695
O2 -1.213 2.066 0.271
H1 -6.466 2.698 -1.685
H2 -4.816 3.234 0.091
H3 -2.266 0.108 -1.336
H4 -3.947 -0.513 -3.012
C8 -3.291 -3.109 1.686
C9 -3.557 -1.615 1.522
N1 -2.832 -0.775 2.469
C10 -3.512 -0.364 3.692
C11 -3.310 -1.323 4.860
C12 -1.580 -0.361 2.187
C13 -0.880 0.582 3.126
N2 -0.907 -0.764 1.153
H5 -3.750 -3.662 0.865
H6 -3.703 -3.485 2.623
H7 -2.219 -3.315 1.677
H8 -4.619 -1.404 1.647
H9 -3.297 -1.305 0.511
H10 -4.574 -0.285 3.458
H11 -3.176 0.634 3.958
H12 -3.739 -2.302 4.647
H13 -3.789 -0.930 5.758
H14 -2.248 -1.462 5.067
H15 -1.394 1.540 3.159
H16 0.128 0.736 2.748
H17 -0.827 0.158 4.130
H18 -1.351 -1.447 0.548
N3 0.126 1.720 -1.958
C14 1.436 2.308 -1.997
C15 1.882 3.053 -0.911
C16 3.187 3.499 -0.886
C17 4.053 3.203 -1.936
C18 3.579 2.528 -3.050
C19 2.259 2.097 -3.088
S1 5.814 3.341 -1.673
O3 6.004 4.560 -0.912
O4 6.407 3.308 -2.994
O5 6.077 2.121 -0.889
H19 -0.121 1.258 -2.822
H20 -0.600 2.349 -1.627
H21 1.213 3.230 -0.076
H22 3.563 4.074 -0.049
H23 4.262 2.327 -3.866
H24 1.882 1.558 -3.952
C20 3.882 1.883 2.536
N4 4.212 1.340 1.243
C21 3.305 0.636 0.522
N5 3.746 0.171 -0.678
O6 2.170 0.378 0.953
'''

**Assignment:**
Find "H25 -4.705" and "C19 2.259" in the rows further above, and repeat these two lines and those between, please.

**Done:**
H25 -4.705 -0.894 -1.577
H26 -3.675 0.309 -2.403
H27 -5.450 0.481 -2.446
H28 -6.238 -0.494 0.835
H29 -6.925 1.140 1.104
H30 -5.675 0.514 2.199
Br1 -1.038 -1.843 -2.521
C22 -1.900 -2.195 -0.886
C23 -2.815 -3.226 -0.785
C24 -3.385 -3.451 0.457
C25 -3.028 -2.643 1.530
C26 -2.108 -1.634 1.329
N2 -1.551 -1.405 0.126
H31 -3.058 -3.831 -1.647
H32 -4.097 -4.256 0.587
H33 -3.448 -2.795 2.514
H34 -1.801 -0.970 2.124
F2 1.130 2.498 1.756
C27 0.504 2.947 0.678
F3 1.189 2.583 -0.410
F4 0.422 4.257 0.699
S1 -1.224 2.145 0.561
O1 -1.230 1.551 -0.781
O2 -1.285 1.137 1.598
N3 -2.263 3.309 0.595
S2 -2.187 4.378 1.859
O3 -1.286 3.912 2.870
O4 -2.152 5.708 1.373
C28 -3.864 4.136 2.610
F5 -4.798 4.790 1.929
F6 -4.193 2.828 2.619
F7 -3.822 4.576 3.849

Record 2
ORCA calculation (ωB97M-V with the def2-TZVPD basis set) on a molecular structure, C28H34BrIN5O8PdS.

Net charge: -1
Lowest unoccupied orbital energy: 1.8 eV
Highest occupied orbital energy: -6.15 eV
Energy above the lowest of the compared OMol25 structures with the same formula, charge and spin: 0.00 kJ/mol

Positions of all 79 atoms, in Å:
Pd1 0.014 0.495 -0.230
I1 -6.701 0.578 -3.922
C1 -5.301 1.062 -2.451
C2 -5.554 2.123 -1.594
C3 -4.628 2.427 -0.606
C4 -3.444 1.707 -0.495
C5 -3.193 0.669 -1.387
C6 -4.132 0.324 -2.352
C7 -2.468 2.068 0.607
O1 -2.920 2.390 1.695
O2 -1.213 2.066 0.271
H1 -6.466 2.698 -1.685
H2 -4.816 3.234 0.091
H3 -2.266 0.108 -1.336
H4 -3.947 -0.513 -3.012
C8 -3.291 -3.109 1.686
C9 -3.557 -1.615 1.522
N1 -2.832 -0.775 2.469
C10 -3.512 -0.364 3.692
C11 -3.310 -1.323 4.860
C12 -1.580 -0.361 2.187
C13 -0.880 0.582 3.126
N2 -0.907 -0.764 1.153
H5 -3.750 -3.662 0.865
H6 -3.703 -3.485 2.623
H7 -2.219 -3.315 1.677
H8 -4.619 -1.404 1.647
H9 -3.297 -1.305 0.511
H10 -4.574 -0.285 3.458
H11 -3.176 0.634 3.958
H12 -3.739 -2.302 4.647
H13 -3.789 -0.930 5.758
H14 -2.248 -1.462 5.067
H15 -1.394 1.540 3.159
H16 0.128 0.736 2.748
H17 -0.827 0.158 4.130
H18 -1.351 -1.447 0.548
N3 0.126 1.720 -1.958
C14 1.436 2.308 -1.997
C15 1.882 3.053 -0.911
C16 3.187 3.499 -0.886
C17 4.053 3.203 -1.936
C18 3.579 2.528 -3.050
C19 2.259 2.097 -3.088